How do you get everyone on the digitisation train?
Digitisation is a form of change. Specific to any change is that resistance can never be ruled out. How you can respond to this as a company, you will read in this blog.
The fear of change
At home, we embrace digital innovations without detours. Installing the app of our smart thermostat has become automatic, banking transactions are almost all done with our smartphone and today we also prefer to turn on the TV with our phone rather than the tray. So why is it that there is still resistance to digitisation within companies? One answer: the fear of change. So the impact of an app you install privately is less drastic than the implementation of a software solution that changes the way you may have been used to working for years. And you may be in danger of becoming redundant yourself because of that tool and the changed processes....
Don't forget your staff
-- These molecular data were left in the page by mistake --
'''
Density functional theory data (ωB97M-V/def2-TZVPD) for C18H45BCl10NbO2P2S as an isolated structure at a distorted geometry.

Cartesian coordinates (Å):
C1 -5.800 1.809 3.970
C2 -4.410 2.374 3.724
C3 -4.151 2.675 2.248
C4 -3.498 1.485 1.502
Nb1 -1.254 1.490 1.250
C5 -0.768 -0.393 2.426
C6 -1.476 -0.598 3.762
C7 -1.532 -2.066 4.200
P1 -1.240 3.766 -0.081
S1 -3.045 4.246 -0.814
B1 -0.661 2.812 3.105
O1 -1.123 2.524 4.383
O2 0.026 4.019 3.047
C8 1.255 4.102 2.345
C9 2.327 3.196 2.908
P2 -1.282 0.305 -0.981
C10 -2.532 -1.028 -1.099
C11 -3.013 -1.156 -2.546
C12 0.228 -0.350 -1.819
C13 1.376 -0.771 -0.902
H1 -5.898 0.811 3.546
H2 -6.026 1.737 5.031
H3 -6.559 2.426 3.497
H4 -4.299 3.284 4.311
H5 -3.675 1.666 4.095
H6 -3.594 3.598 2.129
H7 -5.117 2.877 1.784
H8 -3.889 1.486 0.482
H9 -3.864 0.561 1.961
H10 0.566 1.644 0.937
H11 0.307 -0.406 2.609
H12 -0.969 -1.247 1.780
H13 -0.955 -0.050 4.539
H14 -2.492 -0.211 3.755
H15 -2.332 -2.218 4.923
H16 -0.611 -2.355 4.701
H17 -1.703 -2.723 3.354
H18 -0.361 3.616 -1.167
H19 -0.648 4.870 0.561
H20 -0.394 2.250 4.937
H21 1.590 5.135 2.431
H22 1.119 3.901 1.285
H23 2.209 2.185 2.533
H24 2.291 3.224 3.994
H25 3.290 3.577 2.585
H26 -2.160 -1.980 -0.728
H27 -3.366 -0.696 -0.488
H28 -3.524 -0.233 -2.790
H29 -2.168 -1.220 -3.225
H30 -3.684 -1.997 -2.687
H31 0.575 0.432 -2.489
H32 -0.043 -1.183 -2.464
H33 1.022 -1.157 0.047
H34 2.041 0.064 -0.721
H35 1.957 -1.552 -1.388
C14 2.724 -4.613 -3.241
Cl1 1.155 -3.882 -3.600
Cl2 3.788 -3.523 -2.342
H36 2.562 -5.499 -2.639
H37 3.221 -4.862 -4.169
C15 6.149 -6.842 -3.759
Cl3 5.326 -6.106 -5.136
Cl4 5.047 -7.798 -2.757
H38 6.924 -7.494 -4.140
H39 6.565 -6.049 -3.150
C16 4.863 6.150 0.974
Cl5 5.140 5.560 2.621
Cl6 4.049 4.964 -0.046
H40 4.244 7.035 1.034
H41 5.825 6.377 0.532
C17 8.789 -8.442 -7.047
Cl7 7.025 -8.454 -7.097
Cl8 9.424 -7.241 -5.911
H42 9.131 -9.419 -6.733
H43 9.159 -8.200 -8.035
C18 -5.795 2.143 -3.940
Cl9 -6.416 1.313 -2.516
Cl10 -5.147 1.013 -5.144
H44 -6.609 2.689 -4.399
H45 -5.000 2.811 -3.626

Calculated values
LUMO: 0.052 hartree
Electronic energy: -180353.4810 eV
Total charge: -1
Orbital gap: 0.1974 hartree


1.
Density functional theory data (ωB97M-V/def2-TZVPD) for an isolated molecule of C4H11N3O at a distorted geometry.

Properties
Total charge: 0
HOMO energy: -8.8 eV
Frontier orbital gap: 0.36231 hartree

Element x y z (Å)
H: 1.660 0.657 -2.905
N: 1.087 1.278 -2.334
N: 0.379 0.562 -1.542
N: -0.349 1.200 -0.718
O: -0.448 2.604 -0.826
C: -1.408 0.532 0.105
C: -1.123 -0.936 0.315
C: 0.025 -1.219 1.394
C: 1.438 -0.924 0.927
H: 0.222 2.790 -1.520
H: -2.354 0.688 -0.424
H: -1.431 1.081 1.054
H: -0.814 -1.391 -0.628
H: -2.022 -1.420 0.686
H: -0.069 -2.283 1.625
H: -0.194 -0.665 2.310
H: 1.597 0.143 0.817
H: 2.151 -1.270 1.674
H: 1.652 -1.428 -0.011



2.
Density functional theory data (ωB97M-V/def2-TZVPD) for an isolated molecule of C4H11N3O at a distorted geometry.

Properties
Total charge: 0
HOMO energy: -9.0 eV
Frontier orbital gap: 0.36049 hartree
'''
-- The page goes on --
Digitalisation is the logic of things for young companies. They have simply grown up with it. It is different for companies that were around before the millennium bug. For their employees, the step from analogue - with stamps, physical archives and paper work orders - to digital is much less obvious. They mainly find the existing processes easy and only at a later stage realise that digitising these processes makes their work easier. In this case, every change process involves a change in mentality. You can only achieve this by clearly communicating the content, steps and benefits of the planned digitisation. That way, you get everyone on board with the digitisation story.
Dealing with resistance
The fact that not everyone is eager for digitisation can have several reasons. Some employees are afraid they will have to make way for a computer, others fear they will not master the digital solutions and still others are by definition creatures of habit who prefer to keep everything as it is. At the opposite end of the spectrum are the people who in se love change and improvement. They become your ambassadors to get even the (initial) detractors on board. They help you frame the change, explain its purpose and list the benefits. Moreover, as a sidekick, they can guide their colleagues through the change process.
Don't change for change's sake
Digitisation is necessary to stand your ground against your competitors, but that does not therefore mean that you have to follow the exact same path as your competitors. Focus on your own processes, your own offerings and your own customers to digitise your own organisation. Also communicate within your organisation why you are going for the chosen solution. It is a first necessary condition within change management. The second condition is good leadership. This includes informing and communicating as well as guiding, directing and supporting. Finally, to get - and keep - everyone on the same wavelength, it is very important to aim for sustainable change. Investing in a solution that you have to discard a few months later or whose usefulness is negligible is something nobody wants, of course.